Migraine and Tension-Type Headaches
Frustration and bright lights can lead to head pain
People often have quite a bit of difficulty trying to identify the causes of their headaches. When something happens before a person gets a headache, he or she does not know whether it was something that triggered the headache or whether the headache would have occurred anyway. One way to find out whether potential triggers really do cause headaches is to conduct an experiment.
Negative affect and visual disturbances are two potential triggers that were recently examined in an experiment by researchers in Australia.
Negative affect is a term used to describe negative emotions or feelings, such as anxiety, anger, and depression. Visual disturbances refer to things like the flicker of lights, the glare from lights, and eyestrain.
[Quantum chemistry results that have nothing to do with the text]
+++
Entry one
# CH6N2S

2 unconnected molecules or ions with the total composition CH6N2S (ωB97M-V/def2-TZVPD, the OMol25 dataset).

CARTESIAN COORDINATES (ANGSTROEM)
C -0.44671 2.28451 -0.63221
N -1.41414 1.44735 -0.79327
S -1.42206 -0.24180 -0.81564
H -0.61139 3.33636 -0.38649
H 0.52179 1.87396 -0.78293
H -2.40021 1.87574 -0.94276
N 1.36998 -2.88394 1.27032
H 0.59436 -2.55752 0.82334
H 1.61953 -2.02078 1.63136
H 2.18887 -3.11388 0.62829

Summary:
LUMO level in eV: -0.2
Kohn-Sham gap in hartree: 0.2985
SMILES: C=[NH+][S-].N

And the Mulliken charges, in e, turn out to be:
1. C -0.252
2. N -0.213
3. S -0.324
4. H 0.246
5. H 0.258
6. H 0.285
7. N -0.688
8. H 0.252
9. H 0.210
10. H 0.227

Entry two
# CH6N2S

CH6N2S in the gas phase (ωB97M-V/def2-TZVPD, the OMol25 dataset).

CARTESIAN COORDINATES (ANGSTROEM)
N -0.31909 -0.29611 -1.58186
N -0.01428 0.31266 -0.18158
C 0.93403 -0.49237 0.42215
S 1.37258 0.33057 1.98359
H -0.41012 0.46442 -2.24121
H -1.27599 -0.53206 -1.56275
H 0.34705 1.19235 -0.38328
H 0.59025 -1.55294 0.51473
H 1.92212 -0.58380 -0.18955
H 0.39713 1.31417 1.73567

Summary:
LUMO level in eV: 1.0
Kohn-Sham gap in hartree: 0.3682
SMILES: NNCS

And the Mulliken charges, in e, turn out to be:
1. N -0.592
2. N -0.359
3. C -0.212
4. S -0.267
5. H 0.234
6. H 0.239
7. H 0.223
8. H 0.328
9. H 0.269
10. H 0.137

Entry three
# CH6N2S

2 unconnected molecules or ions with the total composition CH6N2S (ωB97M-V/def2-TZVPD, the OMol25 dataset).

CARTESIAN COORDINATES (ANGSTROEM)
H -1.39866 -1.88571 -0.47624
N -1.01561 -0.95366 -0.54702
C -1.97337 -0.05595 -0.74344
N -1.62294 1.29718 -0.72908
H -3.07935 -0.23884 -0.60675
H -2.20763 1.99952 -0.36338
H -0.61488 1.44548 -0.43219
S 2.05315 -0.26900 0.90801
H 1.58418 0.22450 -0.17135
H 3.17602 0.69010 0.91504

Summary:
LUMO level in eV: 1.0
Kohn-Sham gap in hartree: 0.3812
SMILES: [H]/N=C/N.S

And the Mulliken charges, in e, turn out to be:
1. H 0.193
2. N -0.530
3. C 0.109
4. N -0.430
5. H 0.247
6. H 0.249
7. H 0.195
8. S -0.268
9. H 0.085
10. H 0.151

Entry four
# CH6N2S

CH6N2S in the gas phase (ωB97M-V/def2-TZVPD, the OMol25 dataset).

CARTESIAN COORDINATES (ANGSTROEM)
C 0.69020 -1.11903 -0.22201
N -0.50465 -0.04340 1.48905
N -0.15000 1.33171 -0.88852
S -0.79101 -0.10180 -0.01735
H 1.33339 -0.68001 0.40856
H 0.94983 -1.17066 -1.30138
H 0.55415 -2.14533 0.07197
H -1.23690 0.12725 2.15174
H -0.85572 1.65803 -1.45401
H 0.01071 2.14323 -0.23806

Summary:
LUMO level in eV: 0.8
Kohn-Sham gap in hartree: 0.3510

And the Mulliken charges, in e, turn out to be:
1. C -0.838
2. N -0.624
3. N -0.591
4. S 0.306
5. H 0.352
6. H 0.311
7. H 0.341
8. H 0.213
9. H 0.246
10. H 0.284

Most stable: entry three (next structure +104.9 kJ/mol)

Entry one
# C2H5N3

C2H5N3 in the gas phase (ωB97M-V/def2-TZVPD, the OMol25 dataset).

CARTESIAN COORDINATES (ANGSTROEM)
H -0.96351 -1.35969 -0.11507
N -1.79014 -0.76068 0.03419
C -1.38169 0.43748 -0.14066
N -0.05311 0.85480 0.11210
C 0.96991 -0.10387 0.08027
N 2.28737 0.00296 -0.08193
+++
The researchers in the present study recruited 75 participants of various ages who had a long history of frequent migraine or tension-type headaches. They also recruited 15 participants who did not to serve as a control group, so the results of participants with the aforementioned history of headaches could be compared to the results of participants without such a history. Across several sessions, the participants engaged in a number of activities, including trying to solve frustrating word puzzles (i.e., negative affect) and staring at something on a computer screen while bright flashing lights created glares on it (i.e., visual disturbances). While engaging in these tasks, physiological measurements were taken. They also completed some questionnaires. Additionally, between sessions, the participants kept a headache diary, in which they rated the intensity of any headaches they experienced 4 times per day.
The results of the study indicated that both negative affect and visual disturbances can trigger headaches, regardless of whether people tend to get migraine or tension-type headaches or whether they believe they are triggers for them. Visual disturbances also led to negative affect, however, so it was unclear form the findings whether visual disturbances actually can trigger headaches directly or must exert their influence indirectly through negative affect. The findings that were based on the diary information demonstrated that these two triggers had their strongest influence on the intensity of subsequent headaches 48 to 72 hours afterward.
Source: Martin, P. R., & Teoh, H.-J. (1999). Efffects of visual stimuli and a stressor on head pain. Headache, 39, 705-715.